Request =
The reader should search the notes further below for the word "total" and print each line that has it.
Listing =
=====
(1)
C4H5FeO6 as an isolated structure in a non-equilibrium geometry. Source: the Open Molecules 2025 dataset; level of theory: ωB97M-V with the def2-TZVPD basis set.

```
16
Properties=species:S:1:pos:R:3:lowdin_spin:R:1
O -2.750 0.235 0.058 0.1251
C -2.073 -0.707 0.565 0.0160
O -2.590 -1.427 1.470 0.1411
O -0.872 -1.021 0.139 0.0159
Fe -4.181 -0.421 1.111 3.6979
C -0.493 -0.328 -1.429 0.0020
C 0.704 -0.402 -0.548 0.0004
H -0.676 -1.228 -2.026 0.0001
H -0.901 0.681 -1.538 0.0006
H 1.266 -1.325 -0.396 0.0000
O 0.975 0.783 0.173 0.0001
C 2.171 0.876 0.746 0.0000
O 3.046 0.049 0.701 0.0000
O 2.281 2.087 1.272 0.0000
H 3.190 2.232 1.565 0.0000
H 0.903 -0.084 -1.865 0.0006
```

## Properties
2S+1: 5
HOMO energy (alpha / beta): -12.25 / -12.24 eV
strongest force on any atom: 0.1744 Eh/bohr
energy above the lowest of the compared OMol25 structures with the same formula, charge and spin: 396.9 kJ/mol
E_tot: -1870.10782 Eh
Kohn-Sham gap (alpha / beta): 0.217 / 0.217 Eh
total charge: +1



(2)
C16H34BIrNP2 as an isolated structure in a non-equilibrium geometry. Source: the Open Molecules 2025 dataset; level of theory: ωB97M-V with the def2-TZVPD basis set.

```
55
Properties=species:S:1:pos:R:3:lowdin_spin:R:1
P 0.243 -3.155 -1.082 0.1231
P 1.285 -0.232 -0.929 0.0540
C 0.259 -2.128 -2.581 0.0279
C 1.481 -1.203 -2.548 0.0860
H -0.687 -1.584 -2.436 0.0007
H 0.190 -2.778 -3.446 0.0037
H 2.432 -1.748 -2.404 0.0067
H 1.521 -0.477 -3.367 0.0118
C -0.003 1.001 -1.746 0.0072
H -0.247 1.867 -1.091 0.0076
H -0.946 0.562 -2.088 0.0016
H 0.449 1.436 -2.654 0.0014
C 2.381 1.263 -1.145 0.0038
H 2.540 1.478 -2.214 0.0015
H 3.348 1.132 -0.659 0.0001
H 1.895 2.171 -0.743 0.0010
C -1.337 -3.692 -0.406 0.0006
H -1.182 -4.153 0.576 0.0007
H -1.863 -4.397 -1.056 0.0005
H -1.969 -2.816 -0.234 0.0007
C 1.500 -4.446 -1.367 0.1209
H 2.251 -4.390 -0.562 0.0240
H 1.997 -4.324 -2.356 0.0044
H 0.925 -5.367 -1.238 0.0188
Ir 1.574 -2.136 0.129 1.0862
C -1.459 4.382 -0.166 0.3626
C -2.566 3.889 -0.751 0.3573
C -3.262 2.551 -0.801 0.1057
C -2.697 1.275 -0.114 0.1279
C -1.948 1.348 1.207 0.7113
C -0.742 1.847 1.569 0.7087
C -0.023 3.131 1.576 0.1819
C -0.967 4.290 1.248 0.0708
C 2.370 -3.765 1.539 0.1983
H -0.908 5.169 -0.706 0.0270
H -3.129 4.568 -1.421 0.0245
H -3.433 2.301 -1.862 0.0177
H -4.294 2.673 -0.436 0.0273
H -3.605 0.711 0.170 0.0031
H -2.224 0.640 -0.880 0.0197
H -2.676 1.004 1.976 0.0665
H 0.039 1.033 1.669 0.0657
H 0.790 3.011 0.820 0.0256
H 0.498 3.382 2.515 0.0285
H -1.796 4.237 1.967 0.0073
H -0.328 5.164 1.426 0.0019
H 3.146 -3.234 2.102 0.0073
H 2.789 -4.667 1.073 0.0169
H 1.620 -4.030 2.298 0.0086
B 0.971 -0.266 4.017 0.0402
C 1.644 -0.987 2.870 0.0806
N 1.910 -1.389 1.801 0.0688
H 0.161 0.522 3.486 0.0117
H 1.725 0.355 4.715 0.0166
H 0.359 -1.026 4.741 0.0152
```

## Properties
2S+1: 6
HOMO energy (alpha / beta): -13.06 / -14.32 eV
strongest force on any atom: 0.1250 Eh/bohr
energy above the lowest of the compared OMol25 structures with the same formula, charge and spin: 62.0 kJ/mol
E_tot: -1495.63327 Eh
Kohn-Sham gap (alpha / beta): 0.229 / 0.167 Eh
total charge: +2



(3)
An isolated ion of composition C8H10N3O3S and charge +1 in a non-equilibrium geometry. Source: the Open Molecules 2025 dataset; level of theory: ωB97M-V with the def2-TZVPD basis set.

```
25
Properties=species:S:1:pos:R:3:lowdin_charge:R:1
O -0.516 -0.906 -1.427 0.2050
C -0.164 -0.214 -0.572 -0.3999
O -1.210 0.404 0.268 0.0346
C -2.411 -0.096 0.337 -0.4080
N -2.451 -1.402 0.667 0.1444
N -1.288 -2.133 0.890 -0.0407
O -1.408 -3.260 0.098 0.0237
N -3.370 0.710 0.025 -0.2105
S -3.154 2.312 -0.583 0.9107
C 1.133 0.110 -0.196 -0.1600
C 1.297 1.090 0.850 0.0159
C 2.499 1.714 0.919 -0.0545
C 3.585 1.470 0.035 0.0238
C 3.357 0.437 -0.893 -0.0313
C 2.145 -0.161 -1.061 -0.0051
H -3.263 -1.923 0.602 0.1480
H -1.209 -2.414 1.815 0.1299
H -0.635 -3.276 -0.452 0.0973
H -4.287 0.427 0.089 0.0928
H -2.078 2.098 -1.386 -0.0866
H 0.421 1.325 1.419 0.1152
H 2.677 2.330 1.849 0.1360
=====
Response =
total charge: +1
total charge: +2